The library media specialist must follow established policies and procedures for the purchase of equipment, materials, services - - anything needed.
What company will give me the most for my money?
What do I do if I get the wrong DVD?
Should I use individual publishers or go with a jobber? What's a jobber?
These are common questions about acquisitions. Service is the key to acquisition. You want the most for your money, and you also want the materials to arrive in a timely fashion.
People assume that selection and acquisition are the same thing. However they are two separate tasks.
Selection involves deciding what is to be purchased.
Acquisition is the process by which the item is physically secured.
Coordination is needed between selection and acuisition. Equipment and materials are acquired through the following means:
- purchase
- rental
- solicitation of free items
- gifts
- exchanges
What is involved with acquisition?
Acquisition involves a number of tasks. First, develop a knowledge of the suppliers and select a jobber. A positive relationship with your vendors can be very important. Next, process requests and monitor the expenditures. Finally, maintain clear records of your purchases. You'll want to acquire materials quickly and keep the process simple.
What are the steps in acquisition?
Once you have an understanding of your overall budget plan, you know how much money is available in different accounts, you know what purchases are needed, then you can begin to order items. You will use titles such as vendor, jobber, supplier, sales representative, and publisher. Occasionally a sales representative from a vendor/supplier may visit your facility, asking to meet with you and “pitch” their product line. You may want to plan before hand, procedures for handling “drop-in” and appointment visits.
More often, you will have already done your online and offline homework. You can usually locate needed supplies, equipment, and materials at commercial websites. For major items, you may be able to view photos and read detailed product specifications. Also see if you can find unbiased product reviews for major items. If you have doubts and concerns, use professional resources (listserv, discussion forums, blogs) to network with fellow SLMSs asking for specific information, recommendations, and experience.
Search and Verify. Make certain that you don't already own the item. You also need to see if anyone else has the item. For example, it might be part of a classroom collection that you could borrow. Or, it might be available at another school or the public library. Do you need to invest in your own copy?
Select a Source. Where will you buy this item? It's easiest to select a jobber and buy all your materials from one source. However, there are times when it may be easier and less expensive to buy items locally. For example you may use Baker and Taylor for most orders, but popular items or duplicates may be purchased at the local Sam's Club. However if you buy locally, keep in mind that you may not be getting quality, library bindings on your books. Also remember that it saves time when you order materials pre-processed and get an electronic file is ready to place in your automated cataloging system.
Order and Track the Item. Maintain a file to keep track of what materials are being consider and where the materials are in the acquisition process. It's easy to simply add a line to your consideration file indicating that the item has been ordered.
In the example below, the supplier, order date, and received date are listed. Some people add a column to show when items are back-ordered. When items have been received, but sure to adjust your budget spreadsheet.
In the Spring, it's a good idea to write "DO NOT BACK ORDER" items, so you don't have to deal with items that are still on order during the summer.
Some people maintain even more categories in their electronic records. For example, an item may be in one of five places in the acquisition process:
- Item received and ready for technical processing
- Item ordered, but not yet received (encumbered funds)
- Item waiting to be ordered
- Item on a wish list for later purchase
- Standing orders, automatically "ordered"
Process Items. When the items are received, be sure to check the packing list against the order. Be sure you have received the correct items. Finally, complete the technical processing of the item. For collection materials, technical processing can include labeling, barcoding, repackaging, etc. Go to Acquiring, Cataloging, and Processing Materials at Multimedia Seeds for more information. Equipment process steps may involve inventory records, applying indentification numbers/markings, assembly and security (locked to a cart?), etc.
What is involved in making purchases?
What company should you use? Consider if you can purchase locally at a competitive price. For some major items the service and support that accompany a purchase are as critical as the purchased items. For example, some jobbers pay shipping while others may not, some publishers offer free processing while others charge for the service. Decisions of where to purchase must include the total package: item, shipping, processing if applicable, and any other available support/services needed.
Consider where you can purchase “like” items on your wants/needs list. You will not be able to buy everything from one source, but the extreme of buying each item from the original producer/manufacturer/publisher is too time consuming. One jobber’s catalog of materials will not totally match anothers. Precious time would be wasted if you tried to compare prices of all books to get the “best buy” every order. Therefore, it is important to learn about several jobbers and their specific services, discounts, and processing fees before preparing a book order purchase. If you are new to the process, you might want to place larger orders with a few reputable places to get started rather than spend large amounts of time determining the reputation and services of many different sources.
Inserted here: data records =
........
(1)
The following is a DFT calculation (the ωB97M-V functional and the def2-TZVPD basis) of a structure of composition C8H9Cl18N at a distorted geometry.

Geometry as XYZ:
```
36
Properties=species:S:1:pos:R:3:mulliken_spin:R:1
C 11.09734 15.48959 -20.94525 0.00
C 10.90686 14.16274 -21.55077 0.00
N 10.74409 13.09317 -22.04045 0.01
H 11.72866 16.07078 -21.61738 0.00
H 11.50451 15.50803 -19.93431 0.00
H 10.10590 15.93350 -20.85527 0.00
C 10.63282 9.92282 -23.84292 0.00
Cl 11.66972 8.58441 -24.32651 0.02
Cl 9.66713 9.36080 -22.47178 0.04
Cl 9.56729 10.43459 -25.12007 0.02
H 11.18610 10.76446 -23.42625 0.00
C 12.81609 11.46706 -19.04934 0.00
Cl 13.63414 10.84151 -20.53485 0.08
Cl 11.22134 10.78514 -18.83706 0.02
Cl 12.77298 13.26927 -19.03141 0.01
H 13.48173 11.11655 -18.26055 0.00
C 9.57943 16.21800 -16.38876 0.00
Cl 9.36080 15.74836 -18.10970 0.00
Cl 9.33242 17.99894 -16.19558 0.00
Cl 11.10712 15.71840 -15.68091 0.00
H 8.85091 15.73596 -15.73685 0.00
C 14.62594 17.54649 -19.66771 0.00
Cl 15.90617 16.23096 -19.57483 0.00
Cl 13.19902 17.11828 -18.62208 0.00
Cl 14.15103 17.89086 -21.32204 0.00
H 15.09496 18.39016 -19.16141 0.00
C 8.60952 18.89736 -21.56483 0.00
Cl 10.27159 18.42166 -21.48757 0.00
Cl 7.61007 17.71018 -22.52452 0.00
Cl 8.50109 20.52085 -22.34818 0.00
H 8.19315 19.00654 -20.56342 0.00
C 13.71630 13.11602 -23.63043 -0.03
Cl 13.41250 14.80673 -23.92041 0.32
Cl 15.19002 13.09964 -22.80817 0.42
Cl 13.68547 12.01990 -25.05258 0.07
H 12.95533 12.75340 -22.93939 0.01
```

Computed properties:
- max |F| (eV/A) = 4.10
- net charge = +1
- E_HOMO (spin up / spin down) (eV) = -13.2 / -13.0
- gap between HOMO and LUMO (spin up / spin down) (eV) = 9.674 / 2.339
- ⟨S²⟩ = 0.75
- multiplicity = 2

---

(2)
The following is a DFT calculation (the ωB97M-V functional and the def2-TZVPD basis) of a structure of composition C36H30N6O7PbS2 at a distorted geometry.

Geometry as XYZ:
```
82
Properties=species:S:1:pos:R:3:mulliken_charge:R:1
Pb 0.00000 0.00000 0.00000 1.90
O -1.26540 -2.10370 -2.30990 -0.63
S -0.04880 -2.72010 -1.77750 1.14
O -0.19900 -4.14080 -1.45380 -0.86
N 0.70850 -1.83820 -0.68520 0.32
C 1.85950 -2.16040 -0.02880 1.01
C 2.61060 -3.33040 -0.27520 -0.85
C 3.78490 -3.61830 0.41690 -0.82
C 4.24280 -2.74100 1.38590 -0.78
C 3.52200 -1.57470 1.66700 0.93
C 3.97570 -0.68820 2.65470 -0.97
C 3.25750 0.46360 2.93730 -0.96
C 2.10490 0.68930 2.21660 0.02
N 1.64190 -0.13840 1.25930 -0.03
C 2.32570 -1.27070 0.96680 -0.52
C 0.98050 -2.74980 -3.27600 0.09
C 1.51600 -1.54980 -3.74810 -0.47
C 2.30460 -1.56010 -4.89840 -0.64
C 2.55020 -2.76210 -5.56760 -0.39
C 2.00790 -3.95780 -5.08930 -0.66
C 1.21930 -3.95520 -3.93890 -0.32
H 2.28000 -4.05580 -1.01580 0.33
H 4.32710 -4.53190 0.19520 0.39
H 5.15630 -2.97560 1.92270 0.31
H 4.88700 -0.89670 3.20690 0.29
H 3.58470 1.16150 3.69690 0.44
H 1.49400 1.56950 2.38850 0.04
H 1.31250 -0.62170 -3.22130 0.35
H 2.72320 -0.63020 -5.27060 0.42
H 3.16180 -2.76640 -6.46480 0.35
H 2.19350 -4.89130 -5.61130 0.37
........
The piece goes on =
Placing a request for an item or group of items is generally completed using a requisition and/or purchase order (P.O.). One request is used for one source however items may be grouped if they are all coming from the same business.
The documentation varies from school to school. Most schools now have forms available in a Word processing format. However here are the basic steps:
- Develop a spreadsheet containing the items to be ordered.
- Complete a Purchase Order.
- Arrange for any required signatures such as your principal.
- Upon receipt of items, match packing list to the purchase order.
Purchase Reminders
- Make sure that you follow your school’s purchasing procedures.
- Know and work within all school purchasing deadlines.
- Consider making local purchases.
- Keep accurate records.
What are pushers or peddlers?
Producers, publishers, and distributors are sometimes called "pushers" or peddlers. They want you to buy their products. They're important to know about because they can often undermine your collection development plan. Publisher advertising may influence you to buy materials you don't need. They may advertise limited qualities and/or great prices. In some cases, publishers even fix reviews. The "trade" includes everyone involved with the creation and dissemination of all formats (i.e. books, videos, databases, audio's) of media including the writer, printer, editor, and salespeople.
The publisher supplies the capital and editorial assistance in creating a book. They have the following roles:
- tap sources of materials
- raise and supply the capital to make materials (i.e., books, videos, software)
- aid in development of the materials
- contract for the manufacturing of the items
- distribute the books - promotion and ads
- maintain records of sales, contracts, correspondence
- don't usually do the printing and sales
The editor works for the publisher and has the following jobs:
- secure publishable manuscripts
- review manuscripts
- work with authors to improve manuscripts
- aid in the physical design of the item
- copyedit manuscripts
- plan the "trade list" for each year and "back list" ones still hot after a year
There are many different types of publishers. A few are listed below:
- House - used for personal, quality services
- Trade publishers - big one, Random House, Harper, Doubleday
- Specialty houses - limited subjects or formats
- Textbook publishers - Scott Foreman, Houghton Mifflin
- Vanity presses - publishers you pay to print your book
- Private presses - non profit
- Academic presses - non profit
- Government presses - largest in volume
- Paperback publishers
- Newspaper and periodical publishers
- Reprint houses
Although you may think that publishers have a nice life, they also have their problems. Economic concerns related to production costs and identifying the market of materials is an issue. Distribution of materials is also expensive. Do they sell direct or through a distributor? Copyright infringement is a particular problem for video and software publishers.
Explore Publishers.
What are jobbers and when should they be used?
Jobbers buy books from major publishers and resell them to libraries and bookstores at a discount. They can provide a great service for a school library media center. Instead of writing to 10 different publishers, you write to one jobber. You get one box, one invoice, and make one payment. In general, jobbers provide the following services:
- electronic cataloging/processing services
- continuation services and discounts
- all materials (i.e., books, videotapes, DVD, audiotapes, CD, software)
- rental plans
- furniture
- supplies
- quality catalogs and online services
Look for what is included with each item. The advantage of a jobber is that all of your items will come with the same level of technical processing:
- book jacket
- spine label
- bar code label
- MARC record
- free shipping and handling
When you're looking for a jobber, ask the following questions.
- Will you give me a list of publishers you do not handle?
You need to know if the common ones are on the list - How does your firm handle requests for a title not in stock?
Is quick notification provided?
Can "no back orders" be requested?
Also, find out how they would answer common questions and learn about their relationship with their publishers:
- Where do I get "Where the Rich Stole Christmas"?
- Where do I complain about "incorrect information" in books?
- Where do I complain about a broken spine on a book?
- What if my book comes upside down or with the wrong cover?
- What if I get the wrong data for my automated system?
What are the popular jobbers?
The following list contains the most popular jobbers and vendors.
Explore Library Supply Vendors.
Explore Library Jobbers.
The larger the school, the more likely they are to use a jobber. If you are in a large school district the vendor may be chosen at the district level. For example, your entire system might use Follett or Baker and Taylor. In some cases, working through this larger system can save you money.
There are also serial jobbers such as Ebsco that provide subscriptions to print and database periodicals. Some jobbers have special plans for book purchases.
Many of the jobbers provide suggested booklists and even list review sources. For example, Brodart maintains online, recommended booklists with reviews and pricing information. Forms can even be downloaded as PDF files or spreadsheets.
What should be considered in selecting a jobber?
When choosing a jobber, you need to remember that there are expectations on both sides. These expectations are:
What library media centers expect from jobbers
- large inventories of titles
- prompt, accurate order fulfillment
- prompt, accurate reporting on items not in stock
- personal service
What jobbers expect from library media centers
- time to get to know what they center needs
- cooperation in placing orders
- keeping paperwork to a minimum
- prompt payment for services
What are other purchase options?
In addition to publishers and jobbers, you may also purchase materials through retail outlets. Their prices are generally higher, but you'll get quick, personal service. Sometimes you can work out discounts with a local bookstore that are as good as jobber prices. Be careful, though. As you know, most library media professional have bibliomania.
Bibliomania is an excessive fondness for acquiring and possessing books. If you get too close to your bookstore, you may never get back to work. The same can happen with online buying. It's very addictive.
How should gifts and donations be handled?
Donations are a wonderful surprise for a library media center. However, gifts can cause problems if they aren't handled carefully. Gifts for birthdays, as memorials, and from organizations are common. It's important to have a policy regarding gifts.
Ethical choices are sometimes involved when accepting gifts. Naturally the careful handling and expenditure of public funds is present; however, other issues often surface or reappear. An example from 1980s is still in place in many schools. Many secondary schools were offered the installation of a “free” video network and television sets by the Whittle Corporation (Channel One). School library media personnel were often involved in the decision-making process. A large number of school systems opted to accept the equipment, but some communities turned the “gift” down. They did not want their students exposed to the advertising that was embedded in the programming or questioned the use of school time for program viewing.
Develop clear guidelines. For example, you have the right to weed materials. The biggest problem comes when you want to weed something that was donated in memory of a "loved one." Use the following guidelines for handling gifts:
- keep a list of needs (duplicates are a good choice such as classics)
- keep a range of expenses and types of materials
- use the Scholastic list available at book fairs
- always write a thank you note, use a standard form
- develop a policy for disposal of gifts, labeling, and handling money
In some cases, donations of items are not helpful. Consider the time needed to handle the item. Some people advocate accepting and thanking persons for their contribution, but also making it clear that your center may not keep the donation. Many have devleoped a form for donated items.
Check Your Understanding
Explore Library Jobbers. Compare and contrast 2 jobbers. Which would you choose? Why?
Make It Real
Ask a library media specialist about their acquisition process.
Do they use a jobber?
Do they use local bookstores?